_Wanted_
What is needed: type out the part of the block further down that starts with the line with "R-3m (No." and stops after the one with "0.5000 x3".
_Source_
/*
PmMgSc6: calculated X-ray diffraction stick pattern (copper Kα), based on a crystal structure in Alexandria, relaxed with GGA-PBE.
No peak broadening, texture or thermal motion is included.

Atomic structure:
Cell lengths 7.8075, 7.8075, 12.5903 Å; angles 90.00, 90.00, 120.00 degrees
Space group R-3m (No. 166, hexagonal axes)
Symmetry-distinct sites (fractional):
Pm 0.0000 0.0000 0.0000 x3
Mg 0.0000 0.0000 0.5000 x3
Sc 0.0849 0.5424 0.8947 x18

Most intense lines, 10 to 80 degrees two-theta, low angle first:
| Position (°2θ) | intensity |
| --- | --- |
| 14.87 | 466 |
| 27.31 | 924 |
| 30.00 | 384 |
| 31.33 | 1000 |
| 38.00 | 797 |
| 45.70 | 509 |

***

AcAl2SiOs2: calculated X-ray diffraction stick pattern (copper Kα), based on a crystal structure in Alexandria, relaxed with GGA-PBE.
No peak broadening, texture or thermal motion is included.

Atomic structure:
Cell lengths 4.4928, 4.4928, 5.9734 Å; angles 90.00, 90.00, 90.00 degrees
Space group P4/mmm (No. 123)
Symmetry-distinct sites (fractional):
Ac 0.0000 0.0000 0.0000 x1
*/
_Solution_
Space group R-3m (No. 166, hexagonal axes)
Symmetry-distinct sites (fractional):
Pm 0.0000 0.0000 0.0000 x3
Mg 0.0000 0.0000 0.5000 x3